File =
<<<
[1]
A structure of composition C33H34GeIrN4OS at a distorted geometry. Source: OMol25; level of theory: ωB97M-V/def2-TZVPD.

Summary:
- Spin multiplicity: 5
- Energy: -4150.561741 a.u.
- Charge: +3
- Expectation value of S²: 6.0891
- Relative energy (zero: lowest compared OMol25 entry of this formula, charge and spin): 116.5 kJ/mol
- Orbital gap (alpha / beta): 6.9 / 3.2 eV

Each line ends with the Mulliken charge.
Geometry (Å):
Ir -0.17155 -0.15238 -0.17397  1.2533
C -6.26852 0.51856 1.21101  -1.0349
C -5.32731 0.45093 2.41268  -0.6281
N -4.15947 -0.41158 2.15949  0.0439
C -4.15356 -1.75127 2.76501  -0.8336
C -4.89483 -2.80531 1.94241  -0.9191
C -3.20575 0.01262 1.34861  0.6329
S -2.00209 -1.19343 0.86124  -0.3881
N -3.24519 1.24514 0.90345  -0.0798
C -2.35262 1.96888 0.25224  -0.2023
O -1.14246 1.61786 -0.00593  -0.5921
C -2.76787 3.30907 -0.17018  1.1272
C -4.06712 3.76175 0.08897  -0.3573
C -4.47355 5.00205 -0.36378  -0.7912
C -3.58816 5.80994 -1.06777  -0.3970
C -2.28831 5.37777 -1.31039  -1.1578
C -1.87749 4.13776 -0.86214  0.1099
H -7.09682 1.18666 1.44197  0.3647
H -6.68234 -0.46299 0.98495  0.3309
H -5.75401 0.89733 0.32876  0.3016
H -5.85090 0.04479 3.27410  0.4125
H -4.96938 1.44656 2.66843  0.4376
H -4.63128 -1.66163 3.73843  0.4107
H -3.12154 -2.05686 2.93678  0.4831
H -5.95499 -2.57517 1.85636  0.3224
H -4.80069 -3.76782 2.44388  0.3912
H -4.47376 -2.89751 0.94056  0.2933
H -4.73939 3.13075 0.65009  0.4075
H -5.47986 5.34777 -0.17182  0.4901
H -3.90748 6.77957 -1.42530  0.4658
H -1.60103 6.01249 -1.85394  0.5291
H -0.86222 3.80392 -1.03637  0.4569
N 1.50486 -0.78884 1.48286  -0.3122
C 2.02383 -2.08000 1.08059  0.4526
C 2.96694 -2.77037 1.79850  -0.5201
C 3.40877 -4.03389 1.36793  -0.7846
C 2.89745 -4.59711 0.23120  -0.9353
C 1.93771 -3.90408 -0.54035  0.6298
C 1.38653 -4.41905 -1.73110  -0.5289
C 0.48296 -3.66774 -2.44646  -0.9732
C 0.12337 -2.41064 -1.97192  -0.1271
N 0.60400 -1.89927 -0.83594  -0.0268
C 1.51020 -2.62574 -0.10924  0.0688
H 2.25569 -0.10809 1.56036  0.3455
H 1.07771 -0.85149 2.40384  0.3399
H 3.37439 -2.34750 2.70931  0.5267
H 4.15541 -4.55841 1.94793  0.4382
H 3.22007 -5.57619 -0.09910  0.4619
H 1.68302 -5.40154 -2.07765  0.4863
H 0.04897 -4.02825 -3.36773  0.4668
H -0.57257 -1.79536 -2.52863  0.5588
Ge 1.57437 1.11172 -1.47992  0.2156
C 1.99735 2.91815 -0.71457  0.4691
C 3.05720 3.61508 -1.35784  -0.4416
C 3.50730 4.79213 -0.81818  -0.7114
C 2.87128 5.31402 0.32474  -0.5312
C 1.80599 4.62563 0.95802  -0.7631
C 1.34878 3.44860 0.42047  -0.1607
C 0.99116 1.32563 -3.34890  0.5335
C -0.14136 2.06952 -3.67906  0.1132
C -0.46336 2.24612 -5.01606  -0.6610
C 0.32972 1.66153 -5.99745  -0.4652
C 1.44820 0.90830 -5.66012  -0.6408
C 1.77946 0.71869 -4.32601  -0.6222
H 2.92530 0.37317 -1.58745  0.0112
H 3.52547 3.21987 -2.25094  0.4196
H 4.33112 5.31610 -1.28480  0.4428
H 3.18418 6.27811 0.71038  0.4158
H 1.34458 5.02304 1.85262  0.4516
H 0.51839 2.92986 0.87951  0.4626
H -0.76200 2.51594 -2.91169  0.2546
H -1.32929 2.83633 -5.28381  0.4527
H 0.06685 1.78566 -7.04000  0.4372
H 2.06666 0.46207 -6.42731  0.4421
H 2.64976 0.12906 -4.06371  0.4255

Force components x, y, z for each atom (eV/Å):
Ir -1.17 -0.38 1.30
C 0.07 -0.15 0.00
C -0.34 0.35 0.07
N 0.03 0.28 -0.31
C -0.06 -0.43 0.20
C 0.03 0.16 -0.17
C 0.96 -1.68 0.04
S 0.76 0.02 -0.30
N -1.01 2.20 -0.48
C 1.07 -1.66 0.51
O -0.54 1.08 -0.25
C 0.72 -0.39 -0.11
C -1.58 1.06 0.11
C -0.52 -0.81 0.56
C -0.94 0.48 0.09
C 1.64 -1.06 -0.06
C 0.59 0.84 -0.61
H -0.01 -0.01 0.06
H -0.02 0.04 -0.05
H -0.03 -0.03 -0.01
H 0.10 -0.04 0.04
H 0.02 -0.06 0.08
H 0.04 0.16 0.03
H -0.05 0.10 -0.03
H -0.01 0.01 0.02
H 0.01 0.04 0.02
H -0.01 -0.02 0.02
H -0.05 -0.02 -0.02
H 0.01 -0.02 0.02
H -0.04 0.06 -0.01
H 0.02 0.00 0.03
H -0.05 0.03 0.03
N -0.30 0.07 -0.13
C 0.14 -0.17 0.06
C -0.19 0.21 -0.04
C 0.02 -0.19 -0.12
C 0.05 0.00 0.07
C -0.07 0.19 -0.02
C -0.13 0.11 -0.10
C 0.20 -0.19 0.06
C 0.13 0.04 0.20
N -0.18 -0.57 -0.59
C 0.10 -0.02 0.03
H 0.01 0.13 -0.06
H -0.05 0.04 -0.02
>>>

Assignment =
Write out everything further up with every line break kept.

Here it is =
[1]
A structure of composition C33H34GeIrN4OS at a distorted geometry. Source: OMol25; level of theory: ωB97M-V/def2-TZVPD.

Summary:
- Spin multiplicity: 5
- Energy: -4150.561741 a.u.
- Charge: +3
- Expectation value of S²: 6.0891
- Relative energy (zero: lowest compared OMol25 entry of this formula, charge and spin): 116.5 kJ/mol
- Orbital gap (alpha / beta): 6.9 / 3.2 eV

Each line ends with the Mulliken charge.
Geometry (Å):
Ir -0.17155 -0.15238 -0.17397  1.2533
C -6.26852 0.51856 1.21101  -1.0349
C -5.32731 0.45093 2.41268  -0.6281
N -4.15947 -0.41158 2.15949  0.0439
C -4.15356 -1.75127 2.76501  -0.8336
C -4.89483 -2.80531 1.94241  -0.9191
C -3.20575 0.01262 1.34861  0.6329
S -2.00209 -1.19343 0.86124  -0.3881
N -3.24519 1.24514 0.90345  -0.0798
C -2.35262 1.96888 0.25224  -0.2023
O -1.14246 1.61786 -0.00593  -0.5921
C -2.76787 3.30907 -0.17018  1.1272
C -4.06712 3.76175 0.08897  -0.3573
C -4.47355 5.00205 -0.36378  -0.7912
C -3.58816 5.80994 -1.06777  -0.3970
C -2.28831 5.37777 -1.31039  -1.1578
C -1.87749 4.13776 -0.86214  0.1099
H -7.09682 1.18666 1.44197  0.3647
H -6.68234 -0.46299 0.98495  0.3309
H -5.75401 0.89733 0.32876  0.3016
H -5.85090 0.04479 3.27410  0.4125
H -4.96938 1.44656 2.66843  0.4376
H -4.63128 -1.66163 3.73843  0.4107
H -3.12154 -2.05686 2.93678  0.4831
H -5.95499 -2.57517 1.85636  0.3224
H -4.80069 -3.76782 2.44388  0.3912
H -4.47376 -2.89751 0.94056  0.2933
H -4.73939 3.13075 0.65009  0.4075
H -5.47986 5.34777 -0.17182  0.4901
H -3.90748 6.77957 -1.42530  0.4658
H -1.60103 6.01249 -1.85394  0.5291
H -0.86222 3.80392 -1.03637  0.4569
N 1.50486 -0.78884 1.48286  -0.3122
C 2.02383 -2.08000 1.08059  0.4526
C 2.96694 -2.77037 1.79850  -0.5201
C 3.40877 -4.03389 1.36793  -0.7846
C 2.89745 -4.59711 0.23120  -0.9353
C 1.93771 -3.90408 -0.54035  0.6298
C 1.38653 -4.41905 -1.73110  -0.5289
C 0.48296 -3.66774 -2.44646  -0.9732
C 0.12337 -2.41064 -1.97192  -0.1271
N 0.60400 -1.89927 -0.83594  -0.0268
C 1.51020 -2.62574 -0.10924  0.0688
H 2.25569 -0.10809 1.56036  0.3455
H 1.07771 -0.85149 2.40384  0.3399
H 3.37439 -2.34750 2.70931  0.5267
H 4.15541 -4.55841 1.94793  0.4382
H 3.22007 -5.57619 -0.09910  0.4619
H 1.68302 -5.40154 -2.07765  0.4863
H 0.04897 -4.02825 -3.36773  0.4668
H -0.57257 -1.79536 -2.52863  0.5588
Ge 1.57437 1.11172 -1.47992  0.2156
C 1.99735 2.91815 -0.71457  0.4691
C 3.05720 3.61508 -1.35784  -0.4416
C 3.50730 4.79213 -0.81818  -0.7114
C 2.87128 5.31402 0.32474  -0.5312
C 1.80599 4.62563 0.95802  -0.7631
C 1.34878 3.44860 0.42047  -0.1607
C 0.99116 1.32563 -3.34890  0.5335
C -0.14136 2.06952 -3.67906  0.1132
C -0.46336 2.24612 -5.01606  -0.6610
C 0.32972 1.66153 -5.99745  -0.4652
C 1.44820 0.90830 -5.66012  -0.6408
C 1.77946 0.71869 -4.32601  -0.6222
H 2.92530 0.37317 -1.58745  0.0112
H 3.52547 3.21987 -2.25094  0.4196
H 4.33112 5.31610 -1.28480  0.4428
H 3.18418 6.27811 0.71038  0.4158
H 1.34458 5.02304 1.85262  0.4516
H 0.51839 2.92986 0.87951  0.4626
H -0.76200 2.51594 -2.91169  0.2546
H -1.32929 2.83633 -5.28381  0.4527
H 0.06685 1.78566 -7.04000  0.4372
H 2.06666 0.46207 -6.42731  0.4421
H 2.64976 0.12906 -4.06371  0.4255

Force components x, y, z for each atom (eV/Å):
Ir -1.17 -0.38 1.30
C 0.07 -0.15 0.00
C -0.34 0.35 0.07
N 0.03 0.28 -0.31
C -0.06 -0.43 0.20
C 0.03 0.16 -0.17
C 0.96 -1.68 0.04
S 0.76 0.02 -0.30
N -1.01 2.20 -0.48
C 1.07 -1.66 0.51
O -0.54 1.08 -0.25
C 0.72 -0.39 -0.11
C -1.58 1.06 0.11
C -0.52 -0.81 0.56
C -0.94 0.48 0.09
C 1.64 -1.06 -0.06
C 0.59 0.84 -0.61
H -0.01 -0.01 0.06
H -0.02 0.04 -0.05
H -0.03 -0.03 -0.01
H 0.10 -0.04 0.04
H 0.02 -0.06 0.08
H 0.04 0.16 0.03
H -0.05 0.10 -0.03
H -0.01 0.01 0.02
H 0.01 0.04 0.02
H -0.01 -0.02 0.02
H -0.05 -0.02 -0.02
H 0.01 -0.02 0.02
H -0.04 0.06 -0.01
H 0.02 0.00 0.03
H -0.05 0.03 0.03
N -0.30 0.07 -0.13
C 0.14 -0.17 0.06
C -0.19 0.21 -0.04
C 0.02 -0.19 -0.12
C 0.05 0.00 0.07
C -0.07 0.19 -0.02
C -0.13 0.11 -0.10
C 0.20 -0.19 0.06
C 0.13 0.04 0.20
N -0.18 -0.57 -0.59
C 0.10 -0.02 0.03
H 0.01 0.13 -0.06
H -0.05 0.04 -0.02